Baby's First Foods: How to Incorporate Solid Foods

Baby's First Foods: How to Incorporate Solid Foods

Last update: 09 March, 2018

Breast milk is the best food during the first six months of a baby’s life. After that, they should begin to eat their first solid foods. This is when fears and doubts appear for parents.

There’s no reason to hurry to incorporate solid foods into your baby’s diet. It’s best to consult your pediatrician to help guide you.

There’s a lot of conflicting advice around this subject, which can be confusing and surprising. That’s why in this article we’ll help  prepare you for this dietary transition.

How to begin? Which foods should we never give our baby under any circumstance? Why aren’t they eating?

Find out here!

When to incorporate solid foods into your baby’s diet

Most babies being preparing to incorporate solids between 5 or 6 months of age, although each baby is unique.

Here are a series of guidelines that help us decide when our baby is ready to ingest solids:

  • Can they keep their head up? One sign is that the baby has control of their head and can lift it by himself or with a little help.
  • Are they interested in food? If they open their mouth when food comes near, or they pay attention when adults eat, they’re probably ready to incorporate solids.
  • Will they eat food from a spoon? If your child can close their mouth around the spoon while using their lips and tongue to swallow, they’re probably ready for the first solids.
  • Weight gain is directly related to an increase in appetite. Therefore, children are ready to incorporate solids into their diet once they double their birth weight. You’ll also notice that their appetite keeps growing.
  • Sitting well when supported. If your baby can sit well to eat and maintain an erect position, that’s a good indicator that they may be ready to gradually swallow food.

How to feed them?

Start slowly, with small spoonfuls and talking to the baby during the process. They won’t know what to do at first and they may be confused, play with the food in their mouth or in their hand, reject it outright or wrinkle their nose in disapproval.

Don’t get frustrated if their first solid foods end up on their hair, their face, their hands or their bib. Don’t let them eat while they’re crying. Remember to increase their portions gradually.

The beginning isn’t easy or fast. Introducing solids requires a great deal of patience. That’s why you should think of this moment as a special one. Don’t get impatient or frustrated with your little one!

Baby's First Foods: How to Incorporate Solid Foods

In this sense, pediatricians advise calmly feeding solids to your baby for the first time. Remember that purees don’t replace breast milk. They are an addition to your baby’s diet at this age.

Likewise, experts recommend: the mother shouldn’t appear anxious. Additionally, don’t add “condiments” to entice the baby. Many mothers fall into the trap of adding honey, sugar, salt, or oil to their baby’s foods.

Of course, avoid adding condiments as they aren’t healthy for such young children, and distance them from good dietary habits.

Also, avoid commercial baby foods with dyes and additives. There’s no food like homemade. Be patient, the process takes time and dedication!

It’s time! Where to start?

The idea of incorporating solids or semisolids initially is more for the sake of learning than for nutrition. It’s a complimentary habit to breastfeeding.

In this stage, you can begin to give them:

  • Vegetable purees. These tend to be the first solid foods that the pediatrician recommends adding to their diet. You can begin to introduce potato, carrot, and pumpkin, in that order. Later you can make the famous tricolor puree, which is a mix of all three.
  • Fruit purees. You can incorporate solids like pear and apple. Especially when they’re preserved, they’re less acid and have an easier consistency to digest. They’re better tolerated by the baby. Later, in addition to increasing the quantity you offer to the baby, you can offer a variety and include oranges and other fruits. Any fruit can be offered pureed, in its natural state or cooked as a preserve. Regardless of how they are served, they provide vitamins, proteins, minerals, and fibers.
  • Grains. The next step in giving the first foods to your child is to incorporate legumes like polenta, rice, and noodle soups. It’s important to make sure that the grains are gluten-free. Gluten is a protein present in wheat, oatmeal, barley, and rye. Gluten can be poorly tolerated by children, triggering celiac disease, which manifests with a variety of symptoms.

........
Below is a relaxed PmGa2IrPd2 crystal, with properties calculated at the PBE-GGA level.

## Properties
V (Å³/atom): 20.63
ΔE_f (meV per atom): -463
Uncorrected energy (eV/atom): -5.47
Space group: P4/mmm

Cell lengths 4.7259, 4.7259, 5.5432 Å; angles 90.00, 90.00, 90.00 degrees
With the nearest neighbours (Å) after each atom.
Element x y z (fractional)
Pm 0.0000 0.0000 0.0000  2 Ir 2.77
Ga 0.0000 0.5000 0.5000  2 Ir 2.36
Ga 0.5000 0.0000 0.5000  2 Ir 2.36
Ir 0.0000 0.0000 0.5000  4 Ga 2.36
........
-- So much for the calculated crystals --

Experts suggest incorporating solids in a gradual manner, one at a time. Wait at least two days before trying a new food to observe any possible allergic reactions. Diarrhea, vomit, swelling, rashes and difficulty breathing are red flags.

The best thing to do is consult a pediatrician about which foods to start with and when is a good time to start adding new ones.

The doctor will probably discourage foods that can typically be allergenic like soy, dairy products, eggs, wheat, fish, peanuts, and chocolate.

Baby's First Foods: How to Incorporate Solid Foods

Incorporate solids: Additional considerations for their first foods

It’s a great goal to have your child get used to a variety of foods. Remember that the transition will take time and adjustment to each new taste and texture.

Don’t get mad if they don’t like a particular flavor. Just offer it to them again later on. 

Also, don’t leave anything out of your baby’s diet just because you don’t like it. Don’t forget to give them water and try including natural juices to their diet. They will love them!

Allergies and foods to avoid

Specialists suggest not including certain foods before one year of age. This is especially true if someone in the family has allergies.

On the other hand, certain foods should be avoided until three years of age because they don’t dissolve quickly in the mouth and your child could choke. Avoid:

  • Eggs
  • Fish
  • Dairy
  • Chocolate
  • Strawberries and kiwis
  • Soy
  • Gluten (wheat, oats, rye, and barley)
  • Honey
  • Peanuts
  • Corn kernels
  • Popcorn
  • Hard caramels
  • Nuts


All cited sources were thoroughly reviewed by our team to ensure their quality, reliability, currency, and validity. The bibliography of this article was considered reliable and of academic or scientific accuracy.

This text is provided for informational purposes only and does not replace consultation with a professional. If in doubt, consult your specialist.